-- Job --
Search the rows below for the word "peak" and print each line that has it.

-- File --
-- begin --
# La5Pr3Y3
Simulated powder diffraction line list, copper Kα. Input: a cell relaxed with GGA-PBE.
No peak broadening, texture or thermal motion is included.

Structural model:
Lattice parameters (Å, degrees): 11.5851 11.5851 3.4967 90.00 90.00 120.00
Space group P-62m (No. 189)
One atom of each set of equivalent atoms:
La  0.0000  0.3372  0.0000
La  0.3333  0.6667  0.0000
Pr  0.0000  0.5963  0.5000
Y  0.0000  0.8398  0.0000

Largest 12 diffraction maxima, sorted by position, 15 to 90 degrees two-theta:
- 3.792 Å, 2θ = 23.46°, rel. 26.4, hkl 2 1 0
- 3.344 Å, 2θ = 26.65°, rel. 100.0, hkl 3 0 0
- 2.994 Å, 2θ = 29.85°, rel. 99.6, hkl 1 1 1
- 2.869 Å, 2θ = 31.18°, rel. 25.8, hkl 2 0 1
- 2.783 Å, 2θ = 32.17°, rel. 76.1, hkl 3 1 0
- 2.571 Å, 2θ = 34.90°, rel. 48.0, hkl 2 1 1
- 2.231 Å, 2θ = 40.44°, rel. 58.9, hkl 2 2 1
- 1.923 Å, 2θ = 47.28°, rel. 29.2, hkl 3 2 1
- 1.549 Å, 2θ = 59.68°, rel. 20.9, hkl 3 0 2
- 1.509 Å, 2θ = 61.47°, rel. 32.5, hkl 6 0 1
- 1.480 Å, 2θ = 62.76°, rel. 21.8, hkl 3 1 2
- 1.189 Å, 2θ = 80.86°, rel. 19.7, hkl 6 3 1

# LaHo6Sc4
Simulated powder diffraction line list, copper Kα. Input: a cell relaxed with GGA-PBE.
No peak broadening, texture or thermal motion is included.

Structural model:
Lattice parameters (Å, degrees): 5.4766 9.4396 24.9659 90.00 90.00 90.00
Space group Cmcm (No. 63)
One atom of each set of equivalent atoms:
La  0.0000  0.1715  0.2500
Ho  0.0000  0.1617  0.6765
Ho  0.0000  0.1707  0.0943
Ho  0.0000  0.4947  0.7500
Ho  0.0000  0.5000  0.0000
Sc  0.0000  0.1649  0.5424
Sc  0.0000  0.4950  0.6235

Largest 12 diffraction maxima, sorted by position, 15 to 90 degrees two-theta:
- 3.770 Å, 2θ = 23.60°, rel. 37.0, hkl 1 1 4
- 3.434 Å, 2θ = 25.94°, rel. 25.3, hkl 0 2 5
- 2.848 Å, 2θ = 31.41°, rel. 100.0, hkl 0 2 7
- 2.738 Å, 2θ = 32.70°, rel. 49.5, hkl 2 0 0
- 2.728 Å, 2θ = 32.83°, rel. 97.3, hkl 1 3 0
- 2.605 Å, 2θ = 34.43°, rel. 39.4, hkl 1 1 8
- 1.973 Å, 2θ = 46.00°, rel. 24.0, hkl 2 2 7
- 1.655 Å, 2θ = 55.52°, rel. 22.5, hkl 2 0 12
- 1.601 Å, 2θ = 57.55°, rel. 11.6, hkl 3 1 7
- 1.597 Å, 2θ = 57.73°, rel. 23.3, hkl 1 5 7
- 1.579 Å, 2θ = 58.45°, rel. 18.4, hkl 3 3 0
- 1.493 Å, 2θ = 62.16°, rel. 12.7, hkl 2 0 14


# 1
For Ac2YIn3, a cell relaxed with PBE gives the computed powder diffraction line list in this record (Cu Kα).
No peak broadening, texture or thermal motion is included.

Cell lengths 3.9629, 3.9629, 12.1587 Å; angles 90.00, 90.00, 90.00 degrees
Positions (direct):
Ac 0.0000 0.0000 0.1768
Ac 0.0000 0.0000 0.8232
Y 0.0000 0.0000 0.5000
In 0.5000 0.5000 0.0000
In 0.5000 0.5000 0.3595
In 0.5000 0.5000 0.6405

Top 10 peaks for 2θ = 10–90°, by angle:
- 26.86 deg, intensity 13
- 31.58 deg, intensity 100
- 31.94 deg, intensity 53
- 44.72 deg, intensity 7
- 45.79 deg, intensity 19
- 56.00 deg, intensity 15
- 56.69 deg, intensity 38
- 65.93 deg, intensity 9
- 75.73 deg, intensity 8
- 75.93 deg, intensity 9

# 2
For AcYZn2In2, a cell relaxed with PBE gives the computed powder diffraction line list in this record (Cu Kα).
No peak broadening, texture or thermal motion is included.

Cell lengths 4.7397, 4.7397, 7.9361 Å; angles 90.00, 90.00, 120.00 degrees
Positions (direct):
Ac 0.0000 0.0000 0.0000
Y 0.0000 0.0000 0.5000
Zn 0.3333 0.6667 0.6959
Zn 0.6667 0.3333 0.3041
In 0.3333 0.6667 0.2790
In 0.6667 0.3333 0.7210

Top 10 peaks for 2θ = 10–90°, by angle:
- 24.41 deg, intensity 30
- 31.35 deg, intensity 100
- 37.97 deg, intensity 62
- 45.70 deg, intensity 13
- 50.04 deg, intensity 27
- 51.79 deg, intensity 15
- 60.88 deg, intensity 23
- 64.49 deg, intensity 25
- 68.59 deg, intensity 11
- 89.58 deg, intensity 11

# 3
For Ac4Zn3In, a cell relaxed with PBE gives the computed powder diffraction line list in this record (Cu Kα).
No peak broadening, texture or thermal motion is included.

Cell lengths 9.7231, 9.7231, 9.7231 Å; angles 33.43, 33.43, 33.43 degrees
Positions (direct):
Ac 0.1214 0.1214 0.1214
Ac 0.3714 0.3714 0.3714
Ac 0.6286 0.6286 0.6286
Ac 0.8786 0.8786 0.8786
Zn 0.0000 0.0000 0.0000
-- stop --

-- Outcome --
No peak broadening, texture or thermal motion is included.
No peak broadening, texture or thermal motion is included.
No peak broadening, texture or thermal motion is included.
No peak broadening, texture or thermal motion is included.
No peak broadening, texture or thermal motion is included.